Sunday 26 May 2013

First Night of Wild Camping

Undeterred by last week's extremely soggy camping experience in Arran, we spent Friday evening ruminating over which tent would suit our needs best. Ideally we were looking for a spacious three man tent, weighing less than 2kg and costing about £75. In the end we settled on the Wild Country Aspect 3, serendipitously on offer at Cotswold Outdoors for £150. Tent bought, and weather glorious we headed off to Tyninghame, our favourite beachy haunt.

Kitted up.
Super grass.

Little boy blue.
I was sure that the perfect weather would have drawn wild campers in their droves to the beach, but no, it was deserted. We chose a little plateau half way up the huge dunes. Nice and sheltered, with views of the vast beach, and no risk of getting washed away by the incoming tide.  Tents were pitched with ease (Matt swooned over the quality of the shiny new poles), the sleeping mats inflated themselves (hurray for science!) and the junior sleeping bags were tested for cocoonability (they passed with distinction).

Arcadian domesticity.

Message on a bottle.
Beer and wine flowed as we slaved over a hot camping stove making our three course meal: veggie frankfurters in wraps, followed by baked beans straight from the tin, and topped off with a Tunnock's Snowball. It was generally agreed that this was one of the best meals evah, infinitely superior to the pish that gets forced on them all at home.
Tunnocks. The only snowball acceptable in May.

Dusk fell slowly and beautifully. The smaller clan members ferreted around in the dunes, and M and I watched the pulses of the lighthouses around the coast and listened to the shushing of the waves. I loved the feeling that we were all achieving deep contentment from the environment in our different ways.

 In my whole 37 years of avid moon-gazing, I don't think I've witnessed a moon-rise as heart-stoppingly wonderful as this one. Full and golden, it floated up over the headland with such speed that I felt a brief interplanetary giddiness. Hope triumphed over experience yet again, as I snapped away with my phone camera with predicatbly disappointing results. 

=====
(1)
The following is a DFT calculation (r2SCAN) of Ca2GePd2 after structural relaxation.

Calculated values
ΔE_f   -815 meV per atom
SG   No. 43
E_tot   -15.589 eV/atom

a = 8.229 Å, b = 5.713 Å, c = 9.212 Å
α = 61.77°, β = 37.71°, γ = 80.52°
Fractional positions:
Ca 0.119 0.881 0.288
Ca 0.538 0.962 0.369
Ca 0.881 0.119 0.712
Ca 0.962 0.538 0.131
Ge 0.260 0.260 0.740
Ge 0.510 0.510 0.990
Pd 0.463 0.537 0.285
Pd 0.535 0.965 0.713
Pd 0.537 0.463 0.715
Pd 0.965 0.535 0.787



(2)
The following is a DFT calculation (r2SCAN) of ScMn6Sn6 after structural relaxation.

Calculated values
ΔE_f   -219 meV per atom
SG   No. 191
E_tot   -19.294 eV/atom

a = 5.608 Å, b = 5.608 Å, c = 9.094 Å
α = 90.00°, β = 90.00°, γ = 120.00°
Fractional positions:
Sc 0.000 0.000 0.000
Mn 0.000 0.500 0.247
Mn 0.000 0.500 0.753
Mn 0.500 0.000 0.247
Mn 0.500 0.000 0.753
Mn 0.500 0.500 0.247
Mn 0.500 0.500 0.753
Sn 0.000 0.000 0.329
Sn 0.000 0.000 0.671
Sn 0.333 0.667 0.000
Sn 0.333 0.667 0.500
Sn 0.667 0.333 0.000
Sn 0.667 0.333 0.500



(3)
The following is a DFT calculation (r2SCAN) of CeCoGe after structural relaxation.

Calculated values
ΔE_f   -582 meV per atom
SG   No. 129
E_tot   -19.898 eV/atom

a = 4.260 Å, b = 4.260 Å, c = 6.538 Å
α = 90.00°, β = 90.00°, γ = 90.00°
Fractional positions:
Ce 0.250 0.250 0.192
Ce 0.750 0.750 0.808
Co 0.250 0.750 0.500
Co 0.750 0.250 0.500
Ge 0.250 0.250 0.688
Ge 0.750 0.750 0.312

----------

# 1
The following is a PBE calculation of a geometry-optimized Cr3C8N6Cl12 structure, from the Materials Project database.

Unit cell a=11.687 b=19.980 c=6.997 alpha=90.00 beta=90.00 gamma=90.00
Fractional coordinates of all 58 atoms:
Cr: 0.000 0.000 0.000
Cr: 0.158 0.116 0.000
Cr: 0.342 0.616 0.500
Cr: 0.500 0.500 0.500
Cr: 0.658 0.384 0.500
Cr: 0.842 0.884 0.000
C: 0.079 0.200 0.500
C: 0.093 0.688 0.000
C: 0.098 0.872 0.500
C: 0.111 0.563 0.000
C: 0.389 0.063 0.500
C: 0.402 0.372 0.000
C: 0.407 0.188 0.500
C: 0.421 0.700 0.000
C: 0.579 0.300 0.000
C: 0.593 0.812 0.500
C: 0.598 0.628 0.000
C: 0.611 0.937 0.500
C: 0.889 0.437 0.000
C: 0.902 0.128 0.500
C: 0.907 0.312 0.000
C: 0.921 0.800 0.500
N: 0.014 0.838 0.500
N: 0.102 0.626 0.000
N: 0.152 0.424 0.500
N: 0.348 0.924 0.000
N: 0.398 0.126 0.500
N: 0.486 0.338 0.000
N: 0.514 0.662 0.000
N: 0.602 0.874 0.500
N: 0.652 0.076 0.000
N: 0.848 0.576 0.500
N: 0.898 0.374 0.000
N: 0.986 0.162 0.500
Cl: 0.046 0.885 0.000
Cl: 0.141 0.032 0.231
Cl: 0.141 0.032 0.769
Cl: 0.144 0.223 0.291
Cl: 0.144 0.223 0.709
Cl: 0.156 0.639 0.500
Cl: 0.344 0.139 0.000
Cl: 0.356 0.723 0.209
Cl: 0.356 0.723 0.791
Cl: 0.359 0.532 0.269
Cl: 0.359 0.532 0.731
Cl: 0.454 0.385 0.500
Cl: 0.546 0.615 0.500
Cl: 0.641 0.468 0.269
Cl: 0.641 0.468 0.731
Cl: 0.644 0.277 0.209
Cl: 0.644 0.277 0.791
Cl: 0.656 0.861 0.000
Cl: 0.844 0.361 0.500
Cl: 0.856 0.777 0.291
Cl: 0.856 0.777 0.709
Cl: 0.859 0.968 0.231
Cl: 0.859 0.968 0.769
Cl: 0.954 0.115 0.000

E_form: 0.4599 eV per atom
Energy: -5.320 eV per atom
=====

The moon. It was stunning, honest!
As the moon grew higher and more silvery we headed for our beds. The night was so mild that we left the door open on our tent so we could look at the stars (and possibly keep an eye on errant children).
 Despite the comfiness of our sleeping quarters, I had a slightly restless night. The tide came in, and in the delirium of half-sleep the waves sounded very loud and fearsome. I had to peer out several times to reassure myself that they were in fact gently rolling at a safe distance.

By 6am the sun and tide were both fully out again. After hot chocolate and croissants I spent a long time lying on the cool sand in my sleeping bag doing very little. My phone battery had died (worn out from futile moon photography!) and I felt regretful that I couldn't snap the rest of the family playing in the dune grasses. It was a morning full of "kairos time".

## Records of crystals, kept here for reference
- - -
# 1
An optimized crystal structure of Er3Fe2Si3, computed with PBE.

Summary:
- Total energy after the MP2020 corrections: -6.523 eV/atom
- DFT total energy: -6.550 eV/atom

Cell lengths 5.6076, 5.6076, 13.4750 Å; angles 90.00, 90.00, 137.54 degrees
Last column: nearest neighbours and their distance in Å.
Fractional coordinates of all 16 atoms:
Er1 0.0788 0.9212 0.6126  7 Si 2.92-3.26, 4 Fe 2.96-3.09
Er2 0.0788 0.9212 0.8874  7 Si 2.92-3.26, 4 Fe 2.96-3.09
Er3 0.6379 0.3621 0.2500  4 Si 2.84, 4 Fe 3.16
Er4 0.9212 0.0788 0.1126  7 Si 2.92-3.26, 4 Fe 2.96-3.09
Er5 0.9212 0.0788 0.3874  7 Si 2.92-3.26, 4 Fe 2.96-3.09
Er6 0.3621 0.6379 0.7500  4 Si 2.84, 4 Fe 3.16
Si1 0.6242 0.3758 0.0393  3 Fe 2.31-2.34
Si2 0.3758 0.6242 0.5393  3 Fe 2.31-2.34
Si3 0.6242 0.3758 0.4607  3 Fe 2.31-2.34
Si4 0.3758 0.6242 0.9607  3 Fe 2.31-2.34
Si5 0.3273 0.6727 0.2500  2 Fe 2.57, 2 Er 2.84
Si6 0.6727 0.3273 0.7500  2 Fe 2.57, 2 Er 2.84
Fe1 0.7857 0.2143 0.9195  4 Si 2.31-2.57
Fe2 0.2143 0.7857 0.0805  4 Si 2.31-2.57
Fe3 0.7857 0.2143 0.5805  4 Si 2.31-2.57
Fe4 0.2143 0.7857 0.4195  4 Si 2.31-2.57

***

# 2
An optimized crystal structure of RbNaMg6, computed with PBE.

Summary:
- Excess energy over the best structure of this formula in the dataset: 0 meV per atom
- DFT total energy: -1.265 eV/atom

Cell lengths 5.4795, 6.5122, 13.1278 Å; angles 90.00, 90.00, 90.00 degrees
Last column: nearest neighbours and their distance in Å.
Fractional coordinates of all 16 atoms:
Mg1 0.5000 0.2499 0.9236  8 Mg 3.25-3.39, 1 Rb 3.60, 1 Na 3.64
Mg2 0.5000 0.2501 0.4236  8 Mg 3.25-3.39, 1 Rb 3.60, 1 Na 3.64
Mg3 0.5000 0.7499 0.4236  8 Mg 3.25-3.39, 1 Rb 3.60, 1 Na 3.64
Mg4 0.0000 0.5000 0.3516  8 Mg 3.13-3.32
Mg5 0.0000 0.2583 0.5577  6 Mg 3.13-3.37, 2 Na 3.50
Mg6 0.0000 0.5000 0.8353  8 Mg 3.26-3.39, 2 Na 3.48
Mg7 0.0000 0.7417 0.5577  6 Mg 3.13-3.37, 2 Na 3.50
Mg8 0.0000 0.7583 0.0577  6 Mg 3.13-3.37, 2 Na 3.50
Mg9 0.5000 0.7501 0.9236  8 Mg 3.25-3.39, 1 Rb 3.60, 1 Na 3.64
Mg10 0.0000 0.0000 0.8516  8 Mg 3.13-3.32
Mg11 0.0000 0.2417 0.0577  6 Mg 3.13-3.37, 2 Na 3.50
Mg12 0.0000 0.0000 0.3353  8 Mg 3.26-3.39, 2 Na 3.48
Na1 0.5000 0.5000 0.6716  2 Rb 3.26, 8 Mg 3.48-3.64
Na2 0.5000 0.0000 0.1716  2 Rb 3.26, 8 Mg 3.48-3.64
Rb1 0.5000 0.5000 0.1790  2 Na 3.26, 8 Mg 3.56-3.60
Rb2 0.5000 0.0000 0.6790  2 Na 3.26, 8 Mg 3.56-3.60

***

# 3
An optimized crystal structure of BaSi2O5, computed with PBE.

Summary:
- Excess energy over the best structure of this formula in the dataset: 3 meV per atom
- Total energy after the MP2020 corrections: -8.046 eV/atom
- DFT total energy: -7.617 eV/atom

Cell lengths 11.9936, 11.9936, 13.8217 Å; angles 82.78, 82.78, 22.75 degrees
Last column: nearest neighbours and their distance in Å.
Fractional coordinates of all 48 atoms:
O1 0.1925 0.9498 0.8201  2 Si 1.65
O2 0.3971 0.4626 0.0500  1 Si 1.59
O3 0.7675 0.7746 0.9060  1 Si 1.59
O4 0.2325 0.2254 0.0940  1 Si 1.59
O5 0.8313 0.5070 0.3647  2 Si 1.65-1.66
O6 0.9498 0.1925 0.3201  2 Si 1.65
- - -
## Back to the article

Eventually I was coaxed out of my cocoon by Matt's suggestion of sprintervals: 30 seconds of full-pelt running along the beach, followed by 30 seconds of rest x 10. We ran from opposing directions so as to see the whites of each other's eyes as we passed midway. That, plus a cursory wash in the sea, set me up for a cup of tea and a some more lounging on the warming sand. Eventually hunger forced us homewards, and after a leisurely disassembling of our camp we headed off to Luca's for lunch.

Records of crystals, kept here for reference
'''
[1]
Entry from the Materials Project: crystalline Ni6Se5 at its relaxed geometry (PBE).

Magnetic moment ... 0.58 Bohr magnetons per cell
Crystal system ... orthorhombic
Energy ... -5.00 eV per atom

abc: 6.862 17.013 11.812
angles: 90.00 90.00 90.00
Atoms (fractional coordinates):
Ni: 0.108 0.078 0.008
Ni: 0.108 0.277 0.646
Ni: 0.113 0.005 0.812
Ni: 0.114 0.424 0.916
Ni: 0.122 0.224 0.284
Ni: 0.123 0.620 0.241
Ni: 0.127 0.496 0.111
Ni: 0.127 0.776 0.448
Ni: 0.129 0.877 0.685
Ni: 0.133 0.930 0.000
Ni: 0.134 0.572 0.920
Ni: 0.139 0.721 0.650
Ni: 0.361 0.721 0.150
Ni: 0.366 0.572 0.420
Ni: 0.367 0.930 0.500
Ni: 0.371 0.877 0.185
Ni: 0.373 0.496 0.611
Ni: 0.373 0.776 0.948
Ni: 0.377 0.620 0.741
Ni: 0.378 0.224 0.784
Ni: 0.386 0.424 0.416
Ni: 0.387 0.005 0.312
Ni: 0.392 0.078 0.508
Ni: 0.392 0.277 0.146
Ni: 0.608 0.723 0.646
Ni: 0.608 0.922 0.008
Ni: 0.613 0.995 0.812
Ni: 0.614 0.576 0.916
Ni: 0.622 0.776 0.284
Ni: 0.623 0.380 0.241
Ni: 0.627 0.224 0.448
Ni: 0.627 0.504 0.111
Ni: 0.629 0.123 0.685
Ni: 0.633 0.070 0.000
Ni: 0.634 0.428 0.920
Ni: 0.639 0.279 0.650
Ni: 0.861 0.279 0.150
Ni: 0.866 0.428 0.420
Ni: 0.867 0.070 0.500
Ni: 0.871 0.123 0.185
Ni: 0.873 0.224 0.948
Ni: 0.873 0.504 0.611
Ni: 0.877 0.380 0.741
Ni: 0.878 0.776 0.784
Ni: 0.886 0.576 0.416
Ni: 0.887 0.995 0.312
Ni: 0.892 0.723 0.146
Ni: 0.892 0.922 0.508
Se: 0.111 0.297 0.843
Se: 0.118 0.401 0.565
Se: 0.125 0.007 0.610
Se: 0.126 0.202 0.088
Se: 0.126 0.490 0.314
Se: 0.128 0.807 0.083
Se: 0.129 0.596 0.572
Se: 0.133 0.099 0.363
Se: 0.139 0.700 0.846
Se: 0.143 0.900 0.343
Se: 0.357 0.900 0.843
Se: 0.361 0.700 0.346
Se: 0.367 0.099 0.863
Se: 0.371 0.596 0.072
Se: 0.372 0.807 0.583
Se: 0.374 0.202 0.588
Se: 0.374 0.490 0.814
Se: 0.375 0.007 0.110
Se: 0.382 0.401 0.065
Se: 0.389 0.297 0.343
Se: 0.611 0.703 0.843
Se: 0.618 0.599 0.565
Se: 0.625 0.993 0.610
Se: 0.626 0.510 0.314
Se: 0.626 0.798 0.088
Se: 0.628 0.193 0.083
Se: 0.629 0.404 0.572
Se: 0.633 0.901 0.363
Se: 0.639 0.300 0.846
Se: 0.643 0.100 0.343
Se: 0.857 0.100 0.843
Se: 0.861 0.300 0.346
Se: 0.867 0.901 0.863
Se: 0.871 0.404 0.072
Se: 0.872 0.193 0.583
Se: 0.874 0.510 0.814
Se: 0.874 0.798 0.588
Se: 0.875 0.993 0.110
Se: 0.882 0.599 0.065
Se: 0.889 0.703 0.343

=====

[2]
Entry from the Materials Project: crystalline LiBeH3 at its relaxed geometry (PBE).

Magnetic moment ... 0.00 Bohr magnetons per cell
Crystal system ... triclinic
Energy ... -3.38 eV per atom

abc: 4.700 6.178 6.512
angles: 96.64 100.23 106.85
Atoms (fractional coordinates):
Li: 0.079 0.315 0.163
Li: 0.271 0.332 0.687
Li: 0.729 0.668 0.313
Li: 0.921 0.685 0.837
Be: 0.263 0.809 0.241
Be: 0.412 0.792 0.628
Be: 0.588 0.208 0.372
Be: 0.737 0.191 0.759
H: 0.019 0.186 0.878
H: 0.193 0.804 0.447
H: 0.236 0.627 0.729
H: 0.324 0.260 0.406
H: 0.333 0.611 0.161
H: 0.472 0.007 0.771
H: 0.528 0.993 0.229
H: 0.667 0.389 0.839
H: 0.676 0.740 0.594
H: 0.764 0.373 0.271
H: 0.807 0.196 0.553
H: 0.981 0.814 0.122

=====

[3]
'''
The page goes on

1 comment:

  1. Use this camping guide to help you get the most out of your next trip in the woods.

    Camping Guide
